Translation of: La mente ossessiva : curare il disturbo ossessivo-compulsivo / a cura di Francesco Mancini. 2016.
Text of Note
Someone pasted crystal structures at this point:
┌──
Starting from a cell relaxed with GGA+U, the X-ray powder pattern of KFe6H12S4O29 was computed for Cu Kα (weighted mean of Kα1 and Kα2).
Peak positions follow from Bragg's law for the DFT cell and can differ from measured ones.

Unit cell a=7.148 b=7.414 c=10.223 alpha=90.00 beta=92.95 gamma=90.00
Space group P2/m (No. 10)
Asymmetric unit:
1 K 0.000 0.000 0.000 (multiplicity 1)
2 Fe 0.000 0.500 0.500 (multiplicity 1)
3 Fe 0.266 0.249 0.254 (multiplicity 4)
4 Fe 0.500 0.000 0.000 (multiplicity 1)
5 H 0.038 0.000 0.313 (multiplicity 2)
6 H 0.197 0.212 0.497 (multiplicity 4)
7 H 0.324 0.287 0.010 (multiplicity 4)
8 H 0.500 0.500 0.207 (multiplicity 2)
9 S 0.101 0.500 0.812 (multiplicity 2)
10 S 0.371 0.000 0.698 (multiplicity 2)
11 O 0.014 0.335 0.164 (multiplicity 4)
12 O 0.155 0.500 0.673 (multiplicity 2)
13 O 0.157 0.000 0.268 (multiplicity 2)
14 O 0.172 0.309 0.432 (multiplicity 4)
15 O 0.196 0.000 0.615 (multiplicity 2)
16 O 0.271 0.500 0.899 (multiplicity 2)
17 O 0.323 0.000 0.839 (multiplicity 2)
18 O 0.345 0.187 0.073 (multiplicity 4)
19 O 0.374 0.500 0.241 (multiplicity 2)
20 O 0.481 0.165 0.669 (multiplicity 4)
21 O 0.500 0.500 0.500 (multiplicity 1)

Main lines, most intense first (2θ from 10° to 80°):
(1 2 1), d 3.109, intensity 1000
(1 2 -1), d 3.153, intensity 801
(1 1 0), d 5.142, intensity 767
(0 1 3), d 3.093, intensity 515
(1 0 1), d 5.714, intensity 432
(1 0 -3), d 3.135, intensity 397
(2 2 -4), d 1.846, intensity 367
(0 0 2), d 5.105, intensity 365
(0 1 1), d 5.998, intensity 337
(2 1 3), d 2.285, intensity 329

----------

# 1
La4B4I5: computed XRD peak list (Cu Ka), based on a PBE-relaxed structure.

Most intense lines, 2θ from 10° to 90°, in order of rising 2θ:
d 4.818, 2θ = 18.4°, intensity 14, (4 0 -1)
d 3.347, 2θ = 26.6°, intensity 100, (1 1 -2)
d 3.089, 2θ = 28.9°, intensity 37, (6 0 0)
d 2.823, 2θ = 31.7°, intensity 19, (5 1 0)
d 2.611, 2θ = 34.4°, intensity 24, (2 0 -4)
d 2.306, 2θ = 39.1°, intensity 19, (7 1 -2)
d 2.234, 2θ = 40.4°, intensity 22, (5 1 2)
d 2.180, 2θ = 41.4°, intensity 16, (0 2 0)
d 1.781, 2θ = 51.3°, intensity 15, (6 2 0)
d 1.673, 2θ = 54.9°, intensity 12, (2 2 -4)

```
data_La4B4I5
_cell_length_a 19.514
_cell_length_b 4.361
_cell_length_c 10.455
_cell_angle_alpha 90.00
_cell_angle_beta 108.39
_cell_angle_gamma 90.00
_space_group_name_H-M_alt 'C 1 m 1'
_space_group_IT_number 8
_space_group_name_Hall 'C -2y'
loop_
_atom_site_label
_atom_site_fract_x
_atom_site_fract_y
_atom_site_fract_z
_atom_site_occupancy
La1 0.000 0.000 0.000 1
La2 0.020 0.000 0.501 1
La3 0.145 0.500 0.318 1
La4 0.375 0.000 0.183 1
B1 0.007 0.500 0.156 1
B2 0.010 0.184 0.250 1
B3 0.013 0.500 0.345 1
I1 0.023 0.500 0.760 1
I2 0.180 0.000 0.102 1
I3 0.196 0.000 0.570 1
I4 0.323 0.500 0.931 1
I5 0.339 0.500 0.400 1
```

---

# 2
Sr2BIN2: computed XRD peak list (Cu Ka), based on a PBE-relaxed structure.

Most intense lines, 2θ from 10° to 90°, in order of rising 2θ:
d 4.071, 2θ = 21.8°, intensity 20, (1 0 3)
└──
End of the crystal structures:
Includes bibliographical references and index.
[Unrelated to this page: data records]
____________
No. 1
The following is a theoretical powder X-ray diffraction pattern of MgAg2O4. It was derived from a crystal structure in the Materials Project, relaxed with GGA-PBE, using Cu Kα X-rays.
Peak positions follow from Bragg's law for the DFT cell and can differ from measured ones.

Largest 8 diffraction maxima, most intense first, 15° ≤ 2θ ≤ 90°:
| two_theta | d/Å | intensity | hkl |
| --- | --- | --- | --- |
| 32.90 | 2.722 | 100 | 3 1 1 |
| 17.01 | 5.213 | 93 | 1 1 1 |
| 39.94 | 2.257 | 59 | 4 0 0 |
| 57.76 | 1.596 | 51 | 4 4 0 |
| 34.41 | 2.606 | 44 | 2 2 2 |
| 52.68 | 1.738 | 35 | 5 1 1 |
| 43.70 | 2.071 | 22 | 3 3 1 |
| 81.97 | 1.175 | 19 | 5 5 3 |

Cell and atoms:
Lattice parameters (Å, degrees): 9.029 9.029 9.029 90.00 90.00 90.00
Space group Fd-3m (No. 227, origin choice 2)
One atom of each set of equivalent atoms:
Mg (0.125, 0.125, 0.125)
Ag (0.000, 0.000, 0.500)
O (0.004, 0.004, 0.746)


No. 2
The following is a theoretical powder X-ray diffraction pattern of MgAg2O4. It was derived from a crystal structure in the Materials Project, relaxed with GGA-PBE, using Cu Kα X-rays.
Peak positions follow from Bragg's law for the DFT cell and can differ from measured ones.

Largest 8 diffraction maxima, most intense first, 15° ≤ 2θ ≤ 90°:
| two_theta | d/Å | intensity | hkl |
| --- | --- | --- | --- |
| 32.00 | 2.797 | 100 | 1 2 1 |
| 36.47 | 2.464 | 67 | 1 0 3 |
| 27.38 | 3.258 | 56 | 2 0 0 |
| 29.42 | 3.036 | 48 | 1 1 2 |
| 61.03 | 1.518 | 38 | 2 2 4 |
| 32.54 | 2.752 | 37 | 2 1 1 |
| 51.39 | 1.778 | 35 | 3 2 1 |
| 54.58 | 1.681 | 30 | 0 4 0 |

Cell and atoms:
Lattice parameters (Å, degrees): 6.515 6.720 7.983 90.00 90.00 90.00
Space group Imma (No. 74)
One atom of each set of equivalent atoms:
Mg (0.250, 0.250, 0.250)
Ag (0.000, 0.000, 0.000)
Ag (0.000, 0.250, 0.651)
O (0.000, 0.052, 0.256)
O (0.206, 0.250, 0.986)


No. 3
The following is a theoretical powder X-ray diffraction pattern of MgAg2O4. It was derived from a crystal structure in the Materials Project, relaxed with GGA-PBE, using Cu Kα X-rays.
Peak positions follow from Bragg's law for the DFT cell and can differ from measured ones.

Largest 8 diffraction maxima, most intense first, 15° ≤ 2θ ≤ 90°:
| two_theta | d/Å | intensity | hkl |
| --- | --- | --- | --- |
| 16.12 | 5.499 | 100 | 0 0 2 |
| 32.50 | 2.755 | 60 | 1 2 0 |
| 36.31 | 2.474 | 41 | 1 2 2 |
| 36.60 | 2.455 | 40 | 1 2 -2 |
| 36.11 | 2.487 | 36 | 2 0 2 |
| 46.41 | 1.957 | 26 | -1 2 4 |
| 32.09 | 2.789 | 24 | 2 0 0 |
| 46.89 | 1.937 | 16 | 1 2 -4 |

Cell and atoms:
Lattice parameters (Å, degrees): 5.578 6.344 10.998 89.36 89.98 90.00
Space group P1 (No. 1)
One atom of each set of equivalent atoms:
Mg (0.000, 0.000, 0.000)
Mg (0.161, 0.499, 0.501)
Mg (0.444, 0.499, 0.000)
Mg (0.715, 0.998, 0.500)
Ag (0.044, 0.500, 0.215)
Ag (0.045, 0.499, 0.785)
Ag (0.115, 0.000, 0.715)
Ag (0.115, 0.999, 0.285)
Ag (0.579, 0.249, 0.250)
Ag (0.579, 0.749, 0.250)
Ag (0.580, 0.249, 0.750)
Ag (0.580, 0.749, 0.750)
O (0.229, 0.247, 0.934)
____________
Text of Note
The characteristics of obsessive-compulsive disorder and the questions it raises / Francesco Mancini, Stefania Fadda and Antonella Rainone -- Goals and beliefs, proximate determinants of obsessive-compulsive symptoms / Francesco Mancini and Francesca D'Olimpio -- Cognitive processes in obsessive-compulsive disorder / Francesco Mancini and Amelia Gangemi -- Answers to the questions raised by obsessive-compulsive disorder / Francesco Mancini and Antonella Rainone -- Cognitive deficits and obsessive-compulsive disorder / Stefania Fadda, Andrea Gragnani, Alessandro Couyoumdjian, Francesco Mancini -- Vulnerability in obsessive-compulsive disorder / Katia Tenore and Barbara Basile -- Introduction to the therapy : the rationale of the intervention / Francesco Mancini and Teresa Cosentino -- Constructing a diagrammatic model for understanding the disorder : objectives, procedure, difficulties / Giuseppe Romano and Roberta Trincas -- Techniques of cognitive restructuring / Andrea Gragnani, Carlo Buonanno and Marco Saettoni -- Disgust and contamination : cognitive anti-disgust interventions / Claudia Perdighe and Francesco Mancini -- Accepting risk : cognitive techniques / Claudia Perdighe, Andrea Gragnani, and Antonella Rainone -- Exposure with response prevention as a practice of acceptance / Olga Ines Luppino and Maria Pontillo -- Mindfulness for the treatment of obsessive-compulsive disorder / Barbara Barcaccia and Alessandro Couyoumdjian -- Intervention to reduce current vulnerability to obsessive-compulsive disorder / Teresa Cosentino, Angelo Maria Saliani, Claudia Perdighe, Giuseppe Romano, Francesco Mancini -- Interventions on historical vulnerability / Katia Tenore and Andrea Gragnani -- Preventing relapses and concluding therapy / Andrea Gragnani and Katia Tenore -- The role of family members in the maintenance of obsessive-compulsive disorder : psychoeducation and psychotherapy / Angelo Maria Saliani, Teresa Cosentino, Barbara Barcaccia, Francesco Mancini -- Treatment traps : underlying beliefs and goals and solutions / Angelo Maria Saliani and Francesco Mancini.
Text of Note
• Data records that have nothing to do with the piece:
<<<
Starting from DFT lattice parameters and positions (PBE), the XRD peak list of TlHgPd2 was calculated for Cu Kα, 1.54184 Å.

Structure:
a b c (Å): 8.965 6.170 5.879
angles (deg): 90.00 90.00 90.00
Positions (direct):
Tl 0.068 0.104 0.250
Tl 0.068 0.396 0.750
Tl 0.932 0.604 0.250
Tl 0.932 0.896 0.750
Hg 0.439 0.596 0.250
Hg 0.439 0.904 0.750
Hg 0.561 0.096 0.250
Hg 0.561 0.404 0.750
Pd 0.188 0.750 0.000
Pd 0.188 0.750 0.500
Pd 0.313 0.250 0.000
Pd 0.313 0.250 0.500
Pd 0.687 0.750 0.000
Pd 0.687 0.750 0.500
Pd 0.812 0.250 0.000
Pd 0.812 0.250 0.500

Largest 12 diffraction maxima, sorted by position, 10 to 80 degrees two-theta:
- 2θ 28.93, d 3.086, intensity 100
- 2θ 32.79, d 2.732, intensity 93
- 2θ 35.32, d 2.541, intensity 30
- 2θ 36.55, d 2.458, intensity 89
- 2θ 38.60, d 2.333, intensity 57
- 2θ 39.46, d 2.284, intensity 81
- 2θ 42.48, d 2.128, intensity 36
- 2θ 42.93, d 2.107, intensity 62
- 2θ 45.75, d 1.983, intensity 54
- 2θ 48.72, d 1.869, intensity 39
- 2θ 68.73, d 1.366, intensity 22
- 2θ 69.83, d 1.347, intensity 51

***

Starting from DFT lattice parameters and positions (PBE), the XRD peak list of TlHg2Pd2 was calculated for Cu Kα, 1.54184 Å.

Structure:
a b c (Å): 4.964 7.177 7.421
angles (deg): 66.83 70.53 69.90
Positions (direct):
Tl 0.200 0.251 0.250
Tl 0.800 0.749 0.750
Hg 0.152 0.109 0.788
Hg 0.452 0.609 0.288
Hg 0.548 0.391 0.712
Hg 0.848 0.891 0.212
Pd 0.228 0.651 0.964
Pd 0.342 0.850 0.535
Pd 0.658 0.150 0.465
Pd 0.772 0.349 0.036

Largest 12 diffraction maxima, sorted by position, 10 to 80 degrees two-theta:
- 2θ 26.22, d 3.398, intensity 18
- 2θ 26.76, d 3.331, intensity 38
- 2θ 26.85, d 3.320, intensity 30
- 2θ 29.95, d 2.983, intensity 31
- 2θ 30.07, d 2.972, intensity 19
- 2θ 36.19, d 2.482, intensity 25
- 2θ 38.18, d 2.357, intensity 100
- 2θ 38.33, d 2.348, intensity 33
- 2θ 38.40, d 2.344, intensity 30
- 2θ 38.68, d 2.328, intensity 38
- 2θ 38.74, d 2.325, intensity 23
- 2θ 40.14, d 2.247, intensity 39

***

Starting from DFT lattice parameters and positions (PBE), the XRD peak list of Tl6HgPd2 was calculated for Cu Kα, 1.54184 Å.

Structure:
a b c (Å): 4.577 7.710 7.710
angles (deg): 120.24 90.00 90.00
Positions (direct):
Tl 0.000 0.000 0.000
Tl 0.000 0.454 0.727
Tl 0.000 0.727 0.454
Tl 0.500 0.149 0.730
Tl 0.500 0.307 0.307
Tl 0.500 0.730 0.149
Hg 0.500 0.727 0.727
Pd 0.000 0.059 0.393
Pd 0.000 0.393 0.059

Largest 12 diffraction maxima, sorted by position, 10 to 80 degrees two-theta:
- 2θ 30.34, d 2.946, intensity 100
- 2θ 33.24, d 2.695, intensity 99
- 2θ 35.58, d 2.523, intensity 24
- 2θ 35.70, d 2.515, intensity 12
- 2θ 39.37, d 2.289, intensity 33
- 2θ 40.64, d 2.220, intensity 21
- 2θ 40.84, d 2.210, intensity 12
- 2θ 54.10, d 1.695, intensity 15
- 2θ 57.87, d 1.594, intensity 15
- 2θ 64.07, d 1.453, intensity 12
- 2θ 64.14, d 1.452, intensity 12
- 2θ 65.85, d 1.418, intensity 11

***

Starting from DFT lattice parameters and positions (PBE), the XRD peak list of TlHg3Pd4 was calculated for Cu Kα, 1.54184 Å.
>>>
• Here the piece continues:
The Obsessive Mind offers a well-defined and comprehensive understanding of obsessive-compulsive disorder and its treatment model. Based on the results of current research, the book offers a psychological perspective on the disorder, a complete presentation of useful strategies and techniques that can be implemented in therapy, and work that can be done with family members of OCD patients, all proposed coherently with the theoretical model of the disorder. It also illustrates the pivotal role of moral goals as proximal psychological determinants of the obsessive symptomatology. The Obsessive Mind can be used by new clinicians to become acquainted with the theory and treatment of OCD, as well as more advanced clinicians to improve their OCD treatment skills and learn new interventions and ways to get out of deadlock in treatment and thereby increase efficacy.